### Material
(1)
Density functional theory data (the ωB97M-V functional and the def2-TZVPD basis) for C35H46F4KN8O2PSe as an isolated structure.

For the highest occupied orbital energy, the calculation gives -5.92 eV. The largest force on an atom is 0.09 eV Å⁻¹. The value obtained for the gap between HOMO and LUMO is 0.1894 hartree. Its energy relative to the best compared isomer or geometry (same formula, charge and spin) is 0.9 kcal per mole.

The geometry in ORCA input format:
```
! RIJCOSX wB97M-V def2-TZVPD def2/J DEFGRID3
* xyz 0 1
K 1.726 -0.560 -0.026
C 2.992 1.078 -2.971
N 3.333 1.098 -1.562
C 3.115 2.418 -0.995
C 4.699 0.616 -1.361
C 5.158 0.553 0.093
N 4.238 -0.245 0.876
C 4.625 -0.722 2.054
C 3.758 -1.628 2.740
F 2.552 -1.910 2.156
C 4.051 -2.239 3.929
F 3.148 -3.099 4.451
C 5.239 -2.006 4.602
C 6.095 -1.105 3.995
F 7.259 -0.803 4.606
C 5.820 -0.485 2.796
F 6.728 0.420 2.345
H 3.112 0.068 -3.365
H 3.625 1.757 -3.568
H 1.951 1.384 -3.104
H 3.789 3.176 -1.428
H 3.271 2.392 0.084
H 2.083 2.721 -1.178
H 5.411 1.247 -1.925
H 4.744 -0.391 -1.787
H 5.277 1.574 0.482
H 6.171 0.135 0.062
H 5.478 -2.484 5.539
C -0.939 -1.451 -2.045
C -1.098 -2.406 -0.890
O -0.173 -2.618 -0.127
C -2.426 -3.048 -0.649
C -2.513 -4.045 0.320
C -3.735 -4.630 0.606
C -4.879 -4.215 -0.064
C -4.800 -3.219 -1.027
C -3.574 -2.642 -1.324
H 0.109 -1.409 -2.335
H -1.262 -0.461 -1.705
H -1.532 -1.739 -2.911
H -1.611 -4.346 0.836
H -3.798 -5.410 1.354
H -5.834 -4.671 0.164
H -5.691 -2.895 -1.549
H -3.521 -1.862 -2.073
Se 0.031 -5.154 -2.860
N 0.602 -5.859 -1.330
C 1.579 -5.085 -0.917
C 2.336 -5.289 0.282
C 3.301 -4.392 0.560
C 3.523 -3.265 -0.317
N 2.869 -3.025 -1.411
C 1.900 -3.942 -1.750
N 1.187 -3.809 -2.845
H 2.111 -6.131 0.921
H 3.905 -4.465 1.455
H 4.258 -2.517 -0.025
O -0.133 1.274 0.014
P -1.459 1.932 0.091
N -2.275 1.821 -1.342
C -3.720 1.646 -1.500
C -3.871 1.437 -3.003
C -2.809 2.377 -3.573
C -1.634 2.204 -2.609
N -1.365 3.538 0.433
C -0.392 4.052 1.413
C -0.740 5.539 1.522
C -1.392 5.857 0.178
C -2.217 4.602 -0.093
N -2.419 1.269 1.244
C -2.462 -0.171 1.524
C -3.271 -0.241 2.813
C -4.301 0.871 2.610
C -3.495 1.987 1.940
H -4.281 2.536 -1.185
H -4.077 0.797 -0.912
H -4.877 1.653 -3.357
H -3.630 0.402 -3.258
H -3.175 3.406 -3.535
H -2.537 2.155 -4.604
H -1.045 3.118 -2.499
H -0.951 1.417 -2.945
H 0.624 3.893 1.047
H -0.484 3.539 2.373
H 0.136 6.151 1.732
H -1.461 5.697 2.327
H -0.627 5.963 -0.595
H -1.996 6.763 0.193
H -2.428 4.450 -1.152
H -3.177 4.658 0.439
H -1.455 -0.575 1.618
H -2.982 -0.720 0.728
H -2.627 -0.011 3.665
H -3.719 -1.220 2.972
H -4.774 1.203 3.533
H -5.086 0.522 1.935
H -3.076 2.677 2.679
H -4.113 2.572 1.254
*
```



(2)
Density functional theory data (the ωB97M-V functional and the def2-TZVPD basis) for one molecule with the formula C5H7Cl.

As for the structure (SMILES): C#CC[C@H](C)Cl. For the highest occupied orbital energy, the calculation gives -10.07 eV. The largest force on an atom is 4.12 eV Å⁻¹. The value obtained for the gap between HOMO and LUMO is 0.4016 hartree. Its energy relative to the best compared isomer or geometry (same formula, charge and spin) is 48.9 kcal per mole.

The geometry in ORCA input format:
```
! RIJCOSX wB97M-V def2-TZVPD def2/J DEFGRID3
* xyz 0 1
C 0.610 -0.677 2.733
C -0.023 -0.365 1.753
C -0.868 -0.364 0.609
C -0.334 -0.248 -0.807
C 0.830 -1.249 -0.879
Cl -0.099 1.443 -1.259
H 1.114 -0.850 3.617
H -1.556 0.482 0.595
H -1.294 -1.307 0.795
H -1.025 -0.519 -1.494
H 1.321 -1.397 -1.805
H 0.337 -2.255 -0.736
H 1.504 -1.260 -0.023
*
```



(3)
Density functional theory data (the ωB97M-V functional and the def2-TZVPD basis) for an isolated ion of composition C3H7O7PS2 and charge -2.

### Brief
It remains to duplicate the whole of the data earlier on exactly.

### Result
(1)
Density functional theory data (the ωB97M-V functional and the def2-TZVPD basis) for C35H46F4KN8O2PSe as an isolated structure.

For the highest occupied orbital energy, the calculation gives -5.92 eV. The largest force on an atom is 0.09 eV Å⁻¹. The value obtained for the gap between HOMO and LUMO is 0.1894 hartree. Its energy relative to the best compared isomer or geometry (same formula, charge and spin) is 0.9 kcal per mole.

The geometry in ORCA input format:
```
! RIJCOSX wB97M-V def2-TZVPD def2/J DEFGRID3
* xyz 0 1
K 1.726 -0.560 -0.026
C 2.992 1.078 -2.971
N 3.333 1.098 -1.562
C 3.115 2.418 -0.995
C 4.699 0.616 -1.361
C 5.158 0.553 0.093
N 4.238 -0.245 0.876
C 4.625 -0.722 2.054
C 3.758 -1.628 2.740
F 2.552 -1.910 2.156
C 4.051 -2.239 3.929
F 3.148 -3.099 4.451
C 5.239 -2.006 4.602
C 6.095 -1.105 3.995
F 7.259 -0.803 4.606
C 5.820 -0.485 2.796
F 6.728 0.420 2.345
H 3.112 0.068 -3.365
H 3.625 1.757 -3.568
H 1.951 1.384 -3.104
H 3.789 3.176 -1.428
H 3.271 2.392 0.084
H 2.083 2.721 -1.178
H 5.411 1.247 -1.925
H 4.744 -0.391 -1.787
H 5.277 1.574 0.482
H 6.171 0.135 0.062
H 5.478 -2.484 5.539
C -0.939 -1.451 -2.045
C -1.098 -2.406 -0.890
O -0.173 -2.618 -0.127
C -2.426 -3.048 -0.649
C -2.513 -4.045 0.320
C -3.735 -4.630 0.606
C -4.879 -4.215 -0.064
C -4.800 -3.219 -1.027
C -3.574 -2.642 -1.324
H 0.109 -1.409 -2.335
H -1.262 -0.461 -1.705
H -1.532 -1.739 -2.911
H -1.611 -4.346 0.836
H -3.798 -5.410 1.354
H -5.834 -4.671 0.164
H -5.691 -2.895 -1.549
H -3.521 -1.862 -2.073
Se 0.031 -5.154 -2.860
N 0.602 -5.859 -1.330
C 1.579 -5.085 -0.917
C 2.336 -5.289 0.282
C 3.301 -4.392 0.560
C 3.523 -3.265 -0.317
N 2.869 -3.025 -1.411
C 1.900 -3.942 -1.750
N 1.187 -3.809 -2.845
H 2.111 -6.131 0.921
H 3.905 -4.465 1.455
H 4.258 -2.517 -0.025
O -0.133 1.274 0.014
P -1.459 1.932 0.091
N -2.275 1.821 -1.342
C -3.720 1.646 -1.500
C -3.871 1.437 -3.003
C -2.809 2.377 -3.573
C -1.634 2.204 -2.609
N -1.365 3.538 0.433
C -0.392 4.052 1.413
C -0.740 5.539 1.522
C -1.392 5.857 0.178
C -2.217 4.602 -0.093
N -2.419 1.269 1.244
C -2.462 -0.171 1.524
C -3.271 -0.241 2.813
C -4.301 0.871 2.610
C -3.495 1.987 1.940
H -4.281 2.536 -1.185
H -4.077 0.797 -0.912
H -4.877 1.653 -3.357
H -3.630 0.402 -3.258
H -3.175 3.406 -3.535
H -2.537 2.155 -4.604
H -1.045 3.118 -2.499
H -0.951 1.417 -2.945
H 0.624 3.893 1.047
H -0.484 3.539 2.373
H 0.136 6.151 1.732
H -1.461 5.697 2.327
H -0.627 5.963 -0.595
H -1.996 6.763 0.193
H -2.428 4.450 -1.152
H -3.177 4.658 0.439
H -1.455 -0.575 1.618
H -2.982 -0.720 0.728
H -2.627 -0.011 3.665
H -3.719 -1.220 2.972
H -4.774 1.203 3.533
H -5.086 0.522 1.935
H -3.076 2.677 2.679
H -4.113 2.572 1.254
*
```



(2)
Density functional theory data (the ωB97M-V functional and the def2-TZVPD basis) for one molecule with the formula C5H7Cl.

As for the structure (SMILES): C#CC[C@H](C)Cl. For the highest occupied orbital energy, the calculation gives -10.07 eV. The largest force on an atom is 4.12 eV Å⁻¹. The value obtained for the gap between HOMO and LUMO is 0.4016 hartree. Its energy relative to the best compared isomer or geometry (same formula, charge and spin) is 48.9 kcal per mole.

The geometry in ORCA input format:
```
! RIJCOSX wB97M-V def2-TZVPD def2/J DEFGRID3
* xyz 0 1
C 0.610 -0.677 2.733
C -0.023 -0.365 1.753
C -0.868 -0.364 0.609
C -0.334 -0.248 -0.807
C 0.830 -1.249 -0.879
Cl -0.099 1.443 -1.259
H 1.114 -0.850 3.617
H -1.556 0.482 0.595
H -1.294 -1.307 0.795
H -1.025 -0.519 -1.494
H 1.321 -1.397 -1.805
H 0.337 -2.255 -0.736
H 1.504 -1.260 -0.023
*
```



(3)
Density functional theory data (the ωB97M-V functional and the def2-TZVPD basis) for an isolated ion of composition C3H7O7PS2 and charge -2.